**Work order**
What is needed: repeat all of the data further below character by character.
**Contents**
<<<
# Pr4Te3N2

Crystalline Pr4Te3N2 at its relaxed geometry (GGA-PBE, the Materials Project).

Values from the calculation:
As for the formation energy: -1.5708 eV/atom. The value obtained for the mass density is 6.34 Mg/m³. As for the symmetry: No. 62. For the energy with MP2020 corrections, the calculation gives -6.596 eV/atom.

Cell: 7.4747 11.8507 11.5286 Å, 90.00 90.00 90.00°
Fractional positions:
Pr: 0.0902 0.2500 0.1595
Pr: 0.1457 0.0500 0.8902
Pr: 0.1457 0.4500 0.8902
Pr: 0.2280 0.2500 0.5310
Pr: 0.2720 0.7500 0.0310
Pr: 0.3543 0.5500 0.3902
Pr: 0.3543 0.9500 0.3902
Pr: 0.4098 0.7500 0.6595
Pr: 0.5902 0.2500 0.3405
Pr: 0.6457 0.0500 0.6098
Pr: 0.6457 0.4500 0.6098
Pr: 0.7280 0.2500 0.9690
Pr: 0.7720 0.7500 0.4690
Pr: 0.8543 0.5500 0.1098
Pr: 0.8543 0.9500 0.1098
Pr: 0.9098 0.7500 0.8405
Te: 0.0661 0.5787 0.6354
Te: 0.0661 0.9213 0.6354
Te: 0.0824 0.7500 0.2729
Te: 0.4176 0.2500 0.7729
Te: 0.4339 0.0787 0.1354
Te: 0.4339 0.4213 0.1354
Te: 0.5661 0.5787 0.8646
Te: 0.5661 0.9213 0.8646
Te: 0.5824 0.7500 0.2271
Te: 0.9176 0.2500 0.7271
Te: 0.9339 0.0787 0.3646
Te: 0.9339 0.4213 0.3646
N: 0.0536 0.6219 0.9671
N: 0.0536 0.8781 0.9671
N: 0.4464 0.1219 0.4671
N: 0.4464 0.3781 0.4671
N: 0.5536 0.6219 0.5329
N: 0.5536 0.8781 0.5329
N: 0.9464 0.1219 0.0329
N: 0.9464 0.3781 0.0329


# PrThN2

Crystalline PrThN2 at its relaxed geometry (GGA-PBE, the Materials Project).

Values from the calculation:
As for the formation energy: -1.6392 eV/atom. The value obtained for the mass density is 9.52 Mg/m³. As for the symmetry: No. 123. For the energy with MP2020 corrections, the calculation gives -8.856 eV/atom.

Cell: 3.6770 3.6770 5.1733 Å, 90.00 90.00 90.00°
Fractional positions:
Pr: 0.0000 0.0000 0.0000
Th: 0.5000 0.5000 0.5000
N: 0.0000 0.0000 0.5000
N: 0.5000 0.5000 0.0000


# PrUN2

Crystalline PrUN2 at its relaxed geometry (GGA-PBE, the Materials Project).

Values from the calculation:
As for the formation energy: -1.3856 eV/atom. The value obtained for the mass density is 10.59 Mg/m³. As for the symmetry: No. 123. For the energy with MP2020 corrections, the calculation gives -9.572 eV/atom. Its total magnetization is 2.1 μB per cell.

Cell: 3.5673 3.5673 5.0121 Å, 90.00 90.00 90.00°
Fractional positions:
Pr: 0.0000 0.0000 0.0000
U: 0.5000 0.5000 0.5000
N: 0.0000 0.0000 0.5000
N: 0.5000 0.5000 0.0000


# PrUN2

Crystalline PrUN2 at its relaxed geometry (GGA-PBE, the Materials Project).

Values from the calculation:
As for the formation energy: -1.5417 eV/atom. The value obtained for the mass density is 10.70 Mg/m³. As for the symmetry: No. 166. For the energy with MP2020 corrections, the calculation gives -9.728 eV/atom.

Cell: 3.5345 3.5345 17.5122 Å, 90.00 90.00 120.00°
Fractional positions:
Pr: 0.0000 0.0000 0.0000
Pr: 0.3333 0.6667 0.6667
Pr: 0.6667 0.3333 0.3333
U: 0.0000 0.0000 0.5000
U: 0.3333 0.6667 0.1667
U: 0.6667 0.3333 0.8333
N: 0.0000 0.0000 0.2341
N: 0.0000 0.0000 0.7659
N: 0.3333 0.6667 0.4326
N: 0.3333 0.6667 0.9007
N: 0.6667 0.3333 0.0993
N: 0.6667 0.3333 0.5674


# PtN

Crystalline PtN at its relaxed geometry (GGA-PBE, the Materials Project).

Values from the calculation:
As for the formation energy: 1.2044 eV/atom. The value obtained for the mass density is 15.31 Mg/m³. As for the symmetry: No. 225. For the energy with MP2020 corrections, the calculation gives -5.999 eV/atom. Its total magnetization is 0.1 μB per cell.

Cell: 4.4928 4.4928 4.4928 Å, 90.00 90.00 90.00°
Fractional positions:
Pt: 0.0000 0.0000 0.0000
Pt: 0.0000 0.5000 0.5000
Pt: 0.5000 0.0000 0.5000
Pt: 0.5000 0.5000 0.0000
N: 0.0000 0.0000 0.5000
N: 0.0000 0.5000 0.0000
N: 0.5000 0.0000 0.0000
N: 0.5000 0.5000 0.5000


# PtN

Crystalline PtN at its relaxed geometry (GGA-PBE, the Materials Project).

Values from the calculation:
>>>
**Result**
# Pr4Te3N2

Crystalline Pr4Te3N2 at its relaxed geometry (GGA-PBE, the Materials Project).

Values from the calculation:
As for the formation energy: -1.5708 eV/atom. The value obtained for the mass density is 6.34 Mg/m³. As for the symmetry: No. 62. For the energy with MP2020 corrections, the calculation gives -6.596 eV/atom.

Cell: 7.4747 11.8507 11.5286 Å, 90.00 90.00 90.00°
Fractional positions:
Pr: 0.0902 0.2500 0.1595
Pr: 0.1457 0.0500 0.8902
Pr: 0.1457 0.4500 0.8902
Pr: 0.2280 0.2500 0.5310
Pr: 0.2720 0.7500 0.0310
Pr: 0.3543 0.5500 0.3902
Pr: 0.3543 0.9500 0.3902
Pr: 0.4098 0.7500 0.6595
Pr: 0.5902 0.2500 0.3405
Pr: 0.6457 0.0500 0.6098
Pr: 0.6457 0.4500 0.6098
Pr: 0.7280 0.2500 0.9690
Pr: 0.7720 0.7500 0.4690
Pr: 0.8543 0.5500 0.1098
Pr: 0.8543 0.9500 0.1098
Pr: 0.9098 0.7500 0.8405
Te: 0.0661 0.5787 0.6354
Te: 0.0661 0.9213 0.6354
Te: 0.0824 0.7500 0.2729
Te: 0.4176 0.2500 0.7729
Te: 0.4339 0.0787 0.1354
Te: 0.4339 0.4213 0.1354
Te: 0.5661 0.5787 0.8646
Te: 0.5661 0.9213 0.8646
Te: 0.5824 0.7500 0.2271
Te: 0.9176 0.2500 0.7271
Te: 0.9339 0.0787 0.3646
Te: 0.9339 0.4213 0.3646
N: 0.0536 0.6219 0.9671
N: 0.0536 0.8781 0.9671
N: 0.4464 0.1219 0.4671
N: 0.4464 0.3781 0.4671
N: 0.5536 0.6219 0.5329
N: 0.5536 0.8781 0.5329
N: 0.9464 0.1219 0.0329
N: 0.9464 0.3781 0.0329


# PrThN2

Crystalline PrThN2 at its relaxed geometry (GGA-PBE, the Materials Project).

Values from the calculation:
As for the formation energy: -1.6392 eV/atom. The value obtained for the mass density is 9.52 Mg/m³. As for the symmetry: No. 123. For the energy with MP2020 corrections, the calculation gives -8.856 eV/atom.

Cell: 3.6770 3.6770 5.1733 Å, 90.00 90.00 90.00°
Fractional positions:
Pr: 0.0000 0.0000 0.0000
Th: 0.5000 0.5000 0.5000
N: 0.0000 0.0000 0.5000
N: 0.5000 0.5000 0.0000


# PrUN2

Crystalline PrUN2 at its relaxed geometry (GGA-PBE, the Materials Project).

Values from the calculation:
As for the formation energy: -1.3856 eV/atom. The value obtained for the mass density is 10.59 Mg/m³. As for the symmetry: No. 123. For the energy with MP2020 corrections, the calculation gives -9.572 eV/atom. Its total magnetization is 2.1 μB per cell.

Cell: 3.5673 3.5673 5.0121 Å, 90.00 90.00 90.00°
Fractional positions:
Pr: 0.0000 0.0000 0.0000
U: 0.5000 0.5000 0.5000
N: 0.0000 0.0000 0.5000
N: 0.5000 0.5000 0.0000


# PrUN2

Crystalline PrUN2 at its relaxed geometry (GGA-PBE, the Materials Project).

Values from the calculation:
As for the formation energy: -1.5417 eV/atom. The value obtained for the mass density is 10.70 Mg/m³. As for the symmetry: No. 166. For the energy with MP2020 corrections, the calculation gives -9.728 eV/atom.

Cell: 3.5345 3.5345 17.5122 Å, 90.00 90.00 120.00°
Fractional positions:
Pr: 0.0000 0.0000 0.0000
Pr: 0.3333 0.6667 0.6667
Pr: 0.6667 0.3333 0.3333
U: 0.0000 0.0000 0.5000
U: 0.3333 0.6667 0.1667
U: 0.6667 0.3333 0.8333
N: 0.0000 0.0000 0.2341
N: 0.0000 0.0000 0.7659
N: 0.3333 0.6667 0.4326
N: 0.3333 0.6667 0.9007
N: 0.6667 0.3333 0.0993
N: 0.6667 0.3333 0.5674


# PtN

Crystalline PtN at its relaxed geometry (GGA-PBE, the Materials Project).

Values from the calculation:
As for the formation energy: 1.2044 eV/atom. The value obtained for the mass density is 15.31 Mg/m³. As for the symmetry: No. 225. For the energy with MP2020 corrections, the calculation gives -5.999 eV/atom. Its total magnetization is 0.1 μB per cell.

Cell: 4.4928 4.4928 4.4928 Å, 90.00 90.00 90.00°
Fractional positions:
Pt: 0.0000 0.0000 0.0000
Pt: 0.0000 0.5000 0.5000
Pt: 0.5000 0.0000 0.5000
Pt: 0.5000 0.5000 0.0000
N: 0.0000 0.0000 0.5000
N: 0.0000 0.5000 0.0000
N: 0.5000 0.0000 0.0000
N: 0.5000 0.5000 0.5000


# PtN

Crystalline PtN at its relaxed geometry (GGA-PBE, the Materials Project).

Values from the calculation: